Python Lambda function using boto3 uploads 0 bytes image file to s3 - python

My use case is that I'm trying to take a screenshot of a view in Tableau, and save that screenshot in a bucket in s3. This is done through a Lambda function written in Python. The Lambda is assigned full access rights to s3 and is connected to the Internet.
Everything essentially works - there's no issues with access rights to s3, a connection to the Tableau account can be established, and a file is uploaded to s3. There's no errors thrown when the code is tested. There's one issue though: the saved file is an empty 0 bytes file.
Here's the code:
import logging
import traceback
import os
import requests
from datetime import datetime, timezone
import pytz
import json
from dotenv import load_dotenv
import tableauserverclient as TSC
from slack.web.client import WebClient
from slack.errors import SlackApiError
import boto3
import nest_asyncio
def lambda_handler(event,context):
def Tableau2Slack():
#Tableau environemnt variables
s3 = boto3.client('s3')
#Let's connect to Tableau
print("Talking to Tableau...\n")
tableau_auth = TSC.TableauAuth(tabAccount, tabPass, tabDomain)
server = TSC.Server(tabServer)
# Searching Tableau Online account for View1
with server.auth.sign_in(tableau_auth):
req_option = TSC.RequestOptions()
TSC.RequestOptions.Operator.Equals, tabView1))
all_views, pagination_item = server.views.get(req_option)
# Error catching for bad View names
if not all_views:
raise LookupError("View with the specified name was not found.")
view_item = all_views[0]
image_req_option = TSC.ImageRequestOptions(imageresolution=TSC.ImageRequestOptions.Resolution.High,maxage=1)
server.views.populate_image(view_item, image_req_option)
print("Image saved in temporary folder...\n")
date = datetime.utcnow().strftime('%Y_%m_%d')
# Save bytes as image
with open('/tmp' + tabPath1, "wb") as image_file1:
s3.upload_file('/tmp' + tabPath1, bucket, date + '_' + tabPath1)
print("Tableau image successfully saved to s3 as {0}".format(tabPath1), '\n')
# Tableau try statement error handling
return print('Success!')
I suspect that there's something wrong where the file is opened and then uploaded to s3, but can't figure out what.
Running the same code locally, but instead of...
with open('/tmp/' + tabPath1, "wb") as image_file1:
s3.upload_file('/tmp/' + tabPath1, bucket, date + '_' + tabPath1)
...replacing it with...
with open(tabPath1, "wb") as image_file1:
...saves a proper file of about 250 kb.
Any idea what could be going on? I'm out of ideas...

Here the page breaks off for calculated crystals:
/*
TcIr3Rh3, optimized geometry, DFT PBE-GGA; theoretical density = 11.1 g cm⁻³; energy relative to the elements = 653 meV per atom; calculated total energy = -108.864 eV per cell; total magnetization = 0.000 Bohr magnetons per cell; DOS at the Fermi energy = 1.3956 states/eV/atom; energy above the most stable polymorph in this dataset = 282 meV/atom
1.0
-0.598 2.456 0.782
-8.598 -4.055 6.168
10.294 1.035 4.621
Tc Ir Rh
2 6 6
direct
0.250 0.667 0.333
0.750 0.333 0.667
0.750 0.146 0.720
0.250 0.720 0.574
0.250 0.854 0.280
0.750 0.280 0.426
0.750 0.574 0.854
0.250 0.426 0.146
0.750 0.072 0.448
0.250 0.448 0.376
0.250 0.928 0.552
0.750 0.376 0.928
0.250 0.624 0.072
0.750 0.552 0.624

---

Tc2Ir3Rh3, optimized geometry, DFT PBE-GGA; theoretical density = 15.1 g cm⁻³; energy relative to the elements = 91 meV per atom; calculated total energy = -68.643 eV per cell; total magnetization = 0.000 Bohr magnetons per cell; DOS at the Fermi energy = 1.2003 states/eV/atom; energy above the most stable polymorph in this dataset = 167 meV/atom
1.0
4.929 -0.202 0.197
-0.197 4.929 0.197
0.203 0.202 4.929
Rh Tc Ir
3 2 3
direct
0.725 0.000 0.725
0.275 0.725 0.000
0.000 0.275 0.275
0.278 0.278 0.722
0.722 0.722 0.278
0.500 0.202 0.202
0.202 0.798 0.500
0.798 0.500 0.798

---

TcIr2Rh8, optimized geometry, DFT PBE-GGA; theoretical density = 11.8 g cm⁻³; energy relative to the elements = 532 meV per atom; calculated total energy = -81.050 eV per cell; total magnetization = 0.000 Bohr magnetons per cell; DOS at the Fermi energy = 1.6614 states/eV/atom; energy above the most stable polymorph in this dataset = 319 meV/atom
1.0
4.535 0.197 0.169
0.910 6.422 -0.175
0.910 0.823 6.371
Rh Ir Tc
8 2 1
direct
0.705 0.580 0.580
0.875 0.269 0.269
0.125 0.731 0.731
0.786 0.671 0.176
0.295 0.420 0.420
0.214 0.824 0.329
0.214 0.329 0.824
0.786 0.176 0.671
0.443 0.147 0.147
0.557 0.853 0.853
0.000 0.000 0.000

=====

1.
# CaCu2Ni4 (PBE, optimized geometry)
data_CaCu2Ni4
_chemical_formula_sum 'Ca2 Cu4 Ni8'
_space_group_name_H-M_alt 'C 1 2/m 1'
_space_group_IT_number 12
_cell_length_a 7.8795
_cell_length_b 6.2348
_cell_length_c 4.8189
_cell_angle_alpha 90.00
_cell_angle_beta 127.57
_cell_angle_gamma 90.00
loop_
_space_group_symop_operation_xyz
'x,y,z'
'-x,-y,-z'
'-x,y,-z'
'x,-y,z'
'x+1/2,y+1/2,z'
'-x+1/2,-y+1/2,-z'
'-x+1/2,y+1/2,-z'
'x+1/2,-y+1/2,z'
loop_
_atom_site_label
_atom_site_type_symbol
_atom_site_fract_x
_atom_site_fract_y
_atom_site_fract_z
_atom_site_occupancy
Ca1 Ca 0.0000 0.0000 0.0000 1
Cu1 Cu 0.0002 0.5000 0.2501 1
Ni1 Ni 0.1920 0.1921 0.6921 1
# density: 7.11 g cm⁻³
# D(E_F): 1.59 states/eV/atom

2.
# CaCuNi2 (PBE, optimized geometry)
data_CaCuNi2
_chemical_formula_sum 'Ca2 Cu2 Ni4'
_space_group_name_H-M_alt 'I 4/m m m'
_space_group_IT_number 139
_space_group_name_Hall '-I 4 2'
_cell_length_a 4.0007
_cell_length_b 4.0007
_cell_length_c 7.4439
_cell_angle_alpha 90.00
_cell_angle_beta 90.00
_cell_angle_gamma 90.00
loop_
_atom_site_label
_atom_site_type_symbol
*/


Upload a modified XML file to google cloud storage after editting it with ElementTree (python)

I've modified a piece of code for merging two or more xml files into one. I got it working locally without using or storing files on google cloud storage.
I'd like to use it via cloud functions, which seems to work mostly fine, apart from uploading the final xml file to google cloud storage.
import os
import wget
import logging
from io import BytesIO
from import storage
from xml.etree import ElementTree as ET
def merge(event, context):
client = storage.Client()
bucket = client.get_bucket('mybucket')
test1 = bucket.blob("xml-file1.xml")
inputxml1 = test1.download_as_string()
root1 = ET.fromstring(inputxml1)
test2 = bucket.blob("xml-file2.xml")
inputxml2 = test2.download_as_string()
root2 = ET.fromstring(inputxml2)
copy_files = [e for e in root1.findall('./SHOPITEM')]
src_files = set([e.find('./SHOPITEM') for e in copy_files])
copy_files.extend([e for e in root2.findall('./SHOPITEM') if e.find('./CODE').text not in src_files])
files = ET.Element('SHOP')
blob = bucket.blob("test.xml")
Ive tried the functions .write and .tostring but unsuccessfully.
Sorry for the incomplete question. I've already found a solution and I cant recall the error message I got.
Here is my solution:
blob.upload_from_string(ET.tostring(files, encoding='UTF-8',xml_declaration=True, method='xml').decode('UTF-8'),content_type='application/xml')

writing a simple text file with no key value pair to cloud storage storage

Here the page breaks off for materials data =
~~~
Compound: Na2GeBrCl
Source: the Alexandria database
Functional: PBE-GGA
Structure: relaxed

Output
Space-group type: No. 123
Total moment in μB/cell: 0.00
VASP energy in eV per atom: -2.551
Calculated density in Mg/m³: 2.2
Energy relative to the elements, uncorrected in eV/atom: -0.396

Cell lengths 5.899, 5.899, 5.050 Å; angles 90.00, 90.00, 90.00 degrees
Atoms (fractional coordinates):
Na  0.000  0.500  0.000
Na  0.500  0.000  0.000
Ge  0.000  0.000  0.000
Br  0.000  0.000  0.500
Cl  0.500  0.500  0.500

=====

#one
Entry from the Alexandria database: a geometry-optimized Pm2Pr3In4 structure (GGA-PBE).

```
9
Lattice="-1.8929 -2.7039 3.9999 3.5329 -3.6825 -4.1791 4.8243 6.3156 6.5522" Properties=species:S:1:pos:R:3 pbc="T T T"
In 6.1241 3.1051 4.9972
Pm 5.1425 0.8115 2.9822
Pr 3.1316 1.4972 5.8558
In 4.3775 -2.0574 4.0426
Pr 3.3326 -1.5680 0.5172
In 2.0867 1.9866 2.3304
Pm 1.3217 -0.8823 3.3909
In 0.3401 -3.1758 1.3759
Pr 0.0000 0.0000 0.0000
```

Results
Total moment   0.00 μB/f.u.
SG   C2/m, No. 12

#two
Entry from the Alexandria database: a geometry-optimized Pm2Pr3In4 structure (GGA-PBE).

```
9
Lattice="-2.4355 -4.7726 -1.0378 2.8054 -4.0350 -2.3795 2.9224 -3.5438 9.4373" Properties=species:S:1:pos:R:3 pbc="T T T"
In 4.7112 -6.3465 3.7775
In 2.8738 -9.0582 6.2095
Pr 1.9342 -7.9185 3.1733
Pm 2.4053 -5.7036 6.2326
Pr 0.0000 0.0000 0.0000
Pr 1.3582 -4.4328 2.8467
Pm 0.8870 -6.6477 -0.2126
In -1.4188 -6.0047 2.2424
In 0.4186 -3.2931 -0.1895
```

Results
Total moment   0.00 μB/f.u.
SG   C2/m, No. 12

Relative energies, meV/atom: #one 46; #two 0.

#one
Entry from the Alexandria database: a geometry-optimized Pm2Pr5In structure (GGA-PBE).

```
16
Lattice="-4.5611 -0.0965 -2.0908 2.8668 -2.7325 -6.1277 -2.0559 -13.6246 5.1137" Properties=species:S:1:pos:R:3 pbc="T T T"
Pm -1.8007 -2.3775 -1.9847
Pr 0.0000 0.0000 0.0000
Pm -0.9013 -7.2831 -3.7201
Pr 0.4055 -8.1785 -0.5070
Pm -2.8488 -9.1705 0.6153
Pr -2.3508 -5.8731 -0.6233
Pr -0.3909 -3.7497 -4.9968
Pr -3.3593 -12.7039 1.8921
Pr 2.3292 -6.2616 -4.7921
Pr -1.5183 -10.0955 3.7781
In 1.4334 -1.3662 -3.0638
In -1.0279 -6.8123 2.5569
Pm -1.9495 -14.0761 -1.1201
Pr -1.3994 -10.5805 -2.4815
Pr 0.9342 -4.6410 -1.8237
Pr -0.1233 -11.7161 0.8097
```

Results
Total moment   0.00 μB/f.u.
SG   Pbam, No. 55

#two
Entry from the Alexandria database: a geometry-optimized Pm2Pr5In structure (GGA-PBE).

```
8
Lattice="4.9702 0.0000 -0.9638 -0.1869 4.9667 -0.9638 -0.4334 -0.4500 11.0618" Properties=species:S:1:pos:R:3 pbc="T T T"
Pr 1.3894 4.0230 7.1647
Pm 3.3645 3.4935 4.0530
Pr 2.3916 2.4833 -0.9638
Pm 0.9854 1.0231 5.0812
Pr 2.9605 0.4936 1.9695
In 0.0000 0.0000 0.0000
Pr 0.3819 2.9769 1.9695
Pr 3.9679 1.5397 7.1647
```

Results
Total moment   0.00 μB/f.u.
SG   I4/mmm, No. 139

Relative energies, meV/atom: #one 24; #two 0.

#one
Entry from the Alexandria database: a geometry-optimized Pm3PrIn structure (GGA-PBE).

```
10
~~~
End of the materials data =

My requirement is to export the data from BQ to GCS in a particular sorted order which I am not able to get using automatic export and hence trying to write a manual export for this.
File format is like below:
I am very new to this and am able to write the file in local disk but I am not sure how I can write this to file to GCS. I tried to use the write_to_file but I seem to be missing something.
import pandas as pd
import pickle as pkl
import tempfile
from google.colab import auth
from import bigquery, storage
#import cloudstorage as gcs
df = pd.DataFrame(data=job)
sc = storage.Client(project='temp-project')
with tempfile.NamedTemporaryFile(mode='w+b', buffering=- 1,prefix='test',suffix='temp') as fh:
with open(,'w+',newline='') as f:
dfAsString = df.to_string(header=" ", index=False) = fh.write(dfAsString)
bucket = sc.get_bucket('my-bucket')
target_fn = 'test.csv'
source_fn =
destination_blob_name = bucket.blob('test.csv')
Can someone please help?
Thank You.
I would suggest to upload an object through a Cloud Storage bucket. Instead of upload_from_file, you need to use upload_from_filename. Your code should look like this:
Here are links for the documentation on how to upload an object to Cloud Storage bucket and Client library docs.
The reason why you're getting that is because somewhere in your code, you're passing a Blob object, rather than a String. Currently your destination variable is a Blob Object, change it to String instead:
destination_blob_name = bucket.blob('test.csv')
destination_blob_name = 'test.csv'

Loading S3File in AWS

I'm trying to download my cifar 10 data that is in S3 to train it in AWS SageMaker.
I'm using this code to load the data:
import s3fs
fs = s3fs.S3FileSystem()
def unpickle(file):
dict = pickle.load(file, encoding='bytes')
return dict
with's3://bucket_name/data_batch_1') as f:
data= unpickle(f)
I'm getting the error "EOFError: Ran out of input" on the unpickle function. I assume the "file" is empty, but I tried different ways to get the data from my bucket, and can't seem to get it right.
Unless you have granted the appropriate permissions in IAM for the user to have access to the S3 bucket, the easiest fix is to grant public access, i.e. make sure all are unchecked as below.
Then, using boto3 is an option for importing the dataset from S3 into SageMaker. Here is an example:
import boto3
import botocore
import pandas as pd
from sagemaker import get_execution_role
role = get_execution_role()
bucket = 'databucketname'
data_key = 'datasetname.csv'
data_location = 's3://{}/{}'.format(bucket, data_key)
train_df = pd.read_csv(data_location)
Hope this helps.

Displaying a file (image) from S3 via Flask & BytesIO

I am attempting to pull a file from AWS S3, using Boto3, directly into a BytesIO object. This will eventually be used to manipulate the downloaded data but for now I'm just trying to give that file directly to a user via Flask. As I understand everything the below should work, but does not. The browser simply displays nothing (and shows only downloaded a few bytes of data).
(In this example, my sample file is a png)
from flask import Flask, send_from_directory, abort, Response, send_file, make_response
import boto3, botocore
import os
import io
AWS_ACCESS_KEY = os.environ['AWS_ACCESS_KEY'].rstrip()
AWS_SECRET_KEY = os.environ['AWS_SECRET_KEY'].rstrip()
S3_BUCKET = "static1"
app = Flask(__name__, static_url_path='/tmp')
#app.route('/', defaults={'path': ''})
def catch_all(path):
s3 = boto3.client('s3', aws_access_key_id=AWS_ACCESS_KEY, aws_secret_access_key=AWS_SECRET_KEY,)
file = io.BytesIO()
metadata = s3.head_object(Bucket=S3_BUCKET, Key=path)
conf = boto3.s3.transfer.TransferConfig(use_threads=False)
s3.download_fileobj(S3_BUCKET, path, file)
return send_file(file, mimetype=metadata['ContentType'])
if __name__ == '__main__':,port=3000,host='')
If I modify that core routine to write the BytesIO object to disk, then read it back into a new BytesIO object - it works fine. As below:
def catch_all(path):
s3 = boto3.client('s3', aws_access_key_id=AWS_ACCESS_KEY, aws_secret_access_key=AWS_SECRET_KEY,)
file = io.BytesIO()
metadata = s3.head_object(Bucket=S3_BUCKET, Key=path)
conf = boto3.s3.transfer.TransferConfig(use_threads=False)
s3.download_fileobj(S3_BUCKET, path, file)
fh = open("/tmp/test1.png","wb")
fh = open("/tmp/test1.png","rb")
f2 = io.BytesIO(
return send_file(f2, mimetype=metadata['ContentType'])
Going around in circles with this for a few days, It's clear that I'm missing something and I'm not sure what. The script is being run inside a Python 3.8 docker container with the latest copies of boto3/flask/etc.
Rewinding your BytesIO object should do the trick, with just before send_file(...).
For the record I'm not sure your boto3/botocore calls are "best practices", to try your usecase I ended up with:
from boto3.session import Session
session = Session(
aws_access_key_id=KEY_ID, aws_secret_access_key=ACCESS_KEY, region_name=REGION_NAME
s3 = session.resource("s3")
def test_stuff():
a_file = io.BytesIO()
s3_object = s3.Object(BUCKET, PATH)
return send_file(a_file, mimetype=s3_object.content_type)
It works on when reading the file from disk because you instanciate your BytesIO with the full content of the file, so it's properly fulfilled and still at "position 0".

How to upload a bytes image on Google Cloud Storage from a Python script

I want to upload an image on Google Cloud Storage from a python script. This is my code:
from oauth2client.service_account import ServiceAccountCredentials
from googleapiclient import discovery
scopes = ['']
credentials = ServiceAccountCredentials.from_json_keyfile_name('serviceAccount.json', scop
service ='storage','v1',credentials = credentials)
body = {'name':'my_image.jpg'}
req = service.objects().insert(
bucket='my_bucket', body=body,
gcs_image, 'application/octet-stream'))
resp = req.execute()
if gcs_image = open('img.jpg', 'r') the code works and correctly save my image on Cloud Storage. How can I directly upload a bytes image? (for example from an OpenCV/Numpy array: gcs_image = cv2.imread('img.jpg'))
In my case, I wanted to upload a PDF document to Cloud Storage from bytes.
When I tried the below, it created a text file with my byte string in it.
In order to create an actual PDF file using the byte string I had to do:
blob.upload_from_string(bytedata, content_type='application/pdf')
My byte data was b64encoded, so I also had b64decode it first.
If you want to upload your image from file.
import os
from import storage
def upload_file_to_gcs(bucket_name, local_path, local_file_name, target_key):
client = storage.Client()
bucket = client.bucket(bucket_name)
full_file_path = os.path.join(local_path, local_file_name)
return bucket.blob(target_key).public_url
except Exception as e:
return None
but if you want to upload bytes directly:
import os
from import storage
def upload_data_to_gcs(bucket_name, data, target_key):
client = storage.Client()
bucket = client.bucket(bucket_name)
return bucket.blob(target_key).public_url
except Exception as e:
return None
note that target_key is prefix and the name of the uploaded file.
MediaIoBaseUpload expects an io.Base-like object and raises following error:
'numpy.ndarray' object has no attribute 'seek'
upon receiving a ndarray object. To solve it I am using TemporaryFile and numpy.ndarray().tofile()
from oauth2client.service_account import ServiceAccountCredentials
from googleapiclient import discovery
import googleapiclient
import numpy as np
import cv2
from tempfile import TemporaryFile
scopes = ['']
credentials = ServiceAccountCredentials.from_json_keyfile_name('serviceAccount.json', scopes)
service ='storage','v1',credentials = credentials)
body = {'name':'my_image.jpg'}
with TemporaryFile() as gcs_image:
req = service.objects().insert(
bucket='my_bucket’, body=body,
gcs_image, 'application/octet-stream'))
resp = req.execute()
Be aware that googleapiclient is non-idiomatic and maintenance only(it’s not developed anymore). I would recommend using idiomatic one.
Here is how to directly upload a PIL Image from memory:
from import storage
import io
from PIL import Image
# Define variables
bucket_name = XXXXX
destination_blob_filename = XXXXX
# Configure bucket and blob
client = storage.Client()
bucket = client.bucket(bucket_name)
im ="test.jpg")
bs = io.BytesIO(), "jpeg")
blob.upload_from_string(bs.getvalue(), content_type="image/jpeg")
In addition to that, here is how to download blobfiles directly to memory as PIL Images:
blob = bucket.blob(destination_blob_filename)
downloaded_im_data = blob.download_as_bytes()
downloaded_im =
